Monday, November 28, 2011

10th and most likely last duck hunt

most of the ducks have headed out but we managed to find a pond w about 10,000 ducks and geese jammed into it.  by now they are very wary and smart  == tough to decoy.  but it was a nice day so we though we would give it a last shot.  joe brought brody on his first duck hunt.  i have to say for a three year old he did pretty well.  he did whine a little when he didnt shoot anything but that was just fine.

Tuesday, November 22, 2011

duck hunts 8 and 9

we must be getting to the end of the season cause these ducks are way to smart and skiddish to by anything but northern ducks.  we have ditched the layout blinds to lower our profile and are now laying on the freezing ground covering up with cut cornstalks.  our success is marginal at best - seems like the ducks are just out of shooting range - with lows in the single digits its only a matter of time before they are gone for good.  hopefully one more good hunt!!!  on a side note - davis has been making some great retrieves but he still isnt sure about retrieving those big ol honkers...

........
1.
37
Properties=species:S:1:pos:R:3:forces:R:3 method="wB97M-V/def2-TZVPD" smiles="CCOC(=O)c1[nH]c2ccc(Br)cc2c1NC(=O)CNC" homo_ha=-0.288 e_lumo_ev=0.2283 spin_multiplicity=1 largest_force_ha_per_bohr=0.015
H -2.449 3.191 -0.421 0.153 -0.137 -0.006
C 4.628 -0.631 -0.007 0.050 0.317 -0.061
H -2.786 2.345 1.749 0.004 -0.030 0.103
O -1.698 -2.913 0.278 0.028 0.161 -0.044
H -3.700 -1.686 0.698 0.030 0.205 -0.056
C 4.684 -2.018 0.176 -0.114 -0.124 0.023
N 1.047 -2.538 0.251 -0.251 -0.215 0.016
C -1.261 -1.792 0.136 -0.168 -0.233 0.069
O -2.034 -0.696 -0.003 0.438 0.024 -0.017
C 0.160 -1.492 0.111 0.301 0.531 -0.059
H -0.476 3.361 -1.538 0.030 0.015 0.065
H -3.871 0.053 0.301 0.062 -0.110 0.005
H -1.740 3.781 1.843 0.026 -0.049 0.006
H 3.546 -3.816 0.421 0.032 -0.122 0.015
H -5.018 -1.364 -1.405 -0.133 -0.009 -0.025
C 0.717 2.183 -0.237 -0.284 0.001 -0.050
N -1.688 2.677 0.013 -0.295 0.321 -0.274
H 5.644 -2.507 0.237 0.051 -0.047 0.007
O 1.871 2.528 -0.128 0.212 0.157 0.011
N 0.243 0.911 -0.220 -0.548 0.023 -0.079
C 3.450 0.069 -0.095 0.434 0.000 -0.006
C 0.871 -0.305 -0.042 -0.197 -0.727 0.128
C -1.820 2.755 1.458 -0.046 0.071 0.083
C 2.312 -2.063 0.192 0.066 0.532 -0.064
C -3.936 -1.279 -1.411 0.293 0.075 0.284
C 3.523 -2.746 0.279 0.142 -0.032 0.006
H -0.116 4.137 0.015 0.044 -0.177 -0.054
Br 6.278 0.316 -0.143 -0.114 -0.060 0.012
H 3.435 1.138 -0.226 0.016 -0.037 0.000
H -3.509 -2.235 -1.706 -0.012 -0.066 -0.043
C -0.414 3.190 -0.459 0.052 0.149 0.029
H -3.641 -0.521 -2.133 -0.022 0.064 -0.080
C 2.256 -0.653 0.007 0.085 -0.397 0.058
H -0.775 0.856 -0.262 0.184 0.122 -0.024
H -1.034 2.157 1.919 -0.018 -0.042 0.093
H 0.748 -3.492 0.371 0.019 0.083 -0.015
C -3.447 -0.900 -0.020 -0.551 -0.238 -0.058

2.
128
Properties=species:S:1:pos:R:3:forces:R:3 method="wB97M-V/def2-TZVPD" smiles="O=C1C=CC(=O)C=C1.O=C1C=CC(=O)C=C1.O=C1C=CC(=O)C=C1.O=C1C=CC(=O)C=C1.O=C1C=CC(=O)C=C1.O=C1C=CC(=O)C=C1.O=C1C=CC(=O)C=C1.O=C1C=CC(=O)C=C1.O=C1C=CC(=O)C=C1.O=C1C=CC(=O)C=C1.ClCCCl" homo_ha=-0.366 e_lumo_ev=-1.9205 spin_multiplicity=1 largest_force_ha_per_bohr=0.093
C -10.961 -8.163 20.179 2.040 -1.182 0.356
H -17.933 -6.585 22.347 -0.583 0.467 0.311
C -11.679 -7.128 27.359 0.772 -1.649 -0.128
H -5.374 -6.860 23.456 0.732 0.084 0.282
H -16.525 4.287 17.479 -0.301 0.437 -0.120
H -18.549 -7.144 19.961 -0.376 -0.589 0.219
H -14.295 -7.919 19.329 0.923 -0.366 -1.169
C -11.379 -4.119 18.440 -0.432 -0.241 1.256
O -18.016 1.007 19.834 -0.515 0.902 -0.189
H -15.054 -3.620 26.057 -0.523 0.201 -0.902
O -6.930 -2.410 21.560 0.321 0.256 -0.594
C -14.419 2.230 19.262 -0.104 -0.108 -0.313
H -3.961 -3.316 18.234 -1.254 0.024 0.458
C -16.847 -0.535 18.474 0.109 0.980 -1.022
H -16.723 0.303 17.751 0.359 -0.912 0.370
H -12.789 2.520 16.291 0.201 0.345 -0.207
H -11.159 -7.489 28.301 -0.709 0.626 -1.293
C -5.977 -2.579 17.585 -0.265 0.760 1.036
C -11.055 -8.870 16.243 0.776 0.172 -1.180
C -10.350 -1.598 23.206 0.121 -1.337 0.152
H -10.736 -4.837 17.952 0.126 0.031 -0.106
........

Monday, November 14, 2011

8th day pheasant

headed out early hoping to scout some ducks near jamestown - didnt find much so continued.  ended up on a long walk with only 1 rooster to show for it.  i then decided to go to uncle wickis hunting shack and see if he was home.  he asked me to join him for a couple walks so it was perfect.  uncle wicki put us on some nice birds - and  a skunk that blasted davis.  super fun except for the skunk.  ended up w 8 roosters


Friday, November 11, 2011

duck hunt #6 and #7

the sixth and seventh duck hunt of the year were both on a wednesday.  other than being on the same day they had nothing in common.  on the morning hunt we saw very few birds.  what birds we saw decoyed nicely and produced some fine shooting.  on the evening hunt we saw thousands of birds.  however they were nearly impossible to decoy and produced very few shots.  it was a tale of two different hunts.  both fun non the less

two nice widgeons

Monday, November 7, 2011

mcville deer hunting

deer hunting in mcville is always one of the best hunts of the year.  joe and i got up to mcville about 10am friday and planned to stay through sunday evening.  big hopes of shooting a monster filled our thoughts and conversations on the ride up.  after a quick lunch we headed out to begin our hunt. it wasnt more than an hour and a half and two pushes before joe had bagged a nice 4x4.  shortly after on the next push i shot my buck - a small 4x4 but certainly big enough to make me a satisfied deer hunter.  dans deer took a little more work.  we pushed into friday evening and all day saturday to no avail.  it wasnt until about 11am on sunday when dan shot his deer.  definitely worth the wait -  a really nice 4x4.  based on the amount of deer we saw i would say we did great.  i only saw 4 bucks all weekend and we shot 3 of them.  it was once again a super fun weekend in mcville.